== Request ==
Please print only the last part of the contents further down, starting with the line that has "114.85°,".

== Excerpt ==
NaScS2 | PBE | relaxed

Values from the calculation:
Total DFT energy (no corrections) = -5.461 eV/atom
Raw formation energy = -1.4849 eV/atom
Size of the total moment = 0.00 μB/cell

Structure (CIF):
```
data_NaScS2
_chemical_formula_sum 'Na4 Sc4 S8'
_space_group_name_H-M_alt 'I 4/m c m'
_space_group_IT_number 140
_space_group_name_Hall '-I 4 2c'
_cell_length_a 7.3128
_cell_length_b 7.3128
_cell_length_c 6.7000
_cell_angle_alpha 90.00
_cell_angle_beta 90.00
_cell_angle_gamma 90.00
loop_
_atom_site_label
_atom_site_fract_x
_atom_site_fract_y
_atom_site_fract_z
_atom_site_occupancy
Na1 0.0000 0.0000 0.2500 1
Sc1 0.0000 0.5000 0.2500 1
S1 0.1757 0.3243 0.0000 1
```

----------

1.
## RbTl3Pt (PBE-GGA)

Data for an optimized crystal structure of RbTl3Pt.

Results
As for the magnetization: 0.0 μB per formula unit. As for the calculated total energy: -29.53 eV/cell.

a = 8.932 Å, b = 4.278 Å, c = 9.574 Å
α = 90.00°, β = 114.85°, γ = 90.00°
Space group P2_1/m (No. 11)
One atom of each set of equivalent atoms:
Rb 0.221 0.250 0.431 [2 per cell]
Tl 0.057 0.250 0.915 [2 per cell]
Tl 0.265 0.750 0.770 [2 per cell]
Tl 0.380 0.750 0.194 [2 per cell]
Pt 0.393 0.250 0.994 [2 per cell]

2.
## PrErZn2Au4 (PBE-GGA)

Data for an optimized crystal structure of PrErZn2Au4.

Results
As for the energy of formation from the pure elements: -603 meV/atom. As for the magnetization: 0.0 μB per formula unit.

a = 4.883 Å, b = 4.883 Å, c = 6.933 Å
α = 90.00°, β = 90.00°, γ = 90.00°
Space group P4/mmm (No. 123)
One atom of each set of equivalent atoms:
Pr 0.000 0.000 0.000 [1 per cell]
Er 0.500 0.500 0.500 [1 per cell]
Zn 0.000 0.000 0.500 [1 per cell]
Zn 0.500 0.500 0.000 [1 per cell]
Au 0.000 0.500 0.267 [4 per cell]

3.
## TmAlPt (PBE-GGA)

Data for an optimized crystal structure of TmAlPt.

Results
As for the magnetization: 0.4 μB per formula unit. As for the calculated total energy: -68.06 eV/cell.

a = 6.427 Å, b = 6.427 Å, c = 6.427 Å
α = 90.00°, β = 90.00°, γ = 90.00°
Space group F-43m (No. 216)
One atom of each set of equivalent atoms:
Tm 0.000 0.000 0.000 [4 per cell]
Al 0.000 0.000 0.500 [4 per cell]
Pt 0.250 0.250 0.750 [4 per cell]

4.
## CsSbPdS3 (PBE-GGA)

Data for an optimized crystal structure of CsSbPdS3.

Results
As for the calculated total energy: -50.80 eV/cell.

a = 9.208 Å, b = 4.160 Å, c = 9.762 Å
α = 90.00°, β = 108.89°, γ = 90.00°
Space group P2_1/m (No. 11)
One atom of each set of equivalent atoms:
Cs 0.195 0.250 0.245 [2 per cell]
Sb 0.337 0.750 0.869 [2 per cell]
Pd 0.075 0.250 0.583 [2 per cell]
S 0.148 0.250 0.866 [2 per cell]
S 0.189 0.750 0.557 [2 per cell]
S 0.457 0.750 0.142 [2 per cell]

5.
## AcTaAsO (PBE-GGA)

Data for an optimized crystal structure of AcTaAsO.

Results
As for the magnetization: 0.0 μB per formula unit. Its energy above the most stable polymorph in this dataset is 5.14 eV per formula unit.

a = 4.408 Å, b = 4.408 Å, c = 9.533 Å
α = 90.00°, β = 90.00°, γ = 90.00°
Space group P4/nmm (No. 129, origin choice 2)
One atom of each set of equivalent atoms:
Ac 0.250 0.750 0.000 [2 per cell]
Ta 0.250 0.250 0.490 [2 per cell]
As 0.250 0.250 0.233 [2 per cell]
O 0.250 0.750 0.500 [2 per cell]

6.
## NdY2 (PBE-GGA)

Data for an optimized crystal structure of NdY2.

Results
As for the energy of formation from the pure elements: 298 meV/atom. As for the magnetization: 2.3 μB per formula unit. Its energy above the most stable polymorph in this dataset is 0.00 eV per formula unit.

a = 9.472 Å, b = 9.472 Å, c = 9.472 Å
α = 90.00°, β = 90.00°, γ = 90.00°
Space group Fd-3m (No. 227, origin choice 2)
One atom of each set of equivalent atoms:
Nd 0.125 0.125 0.125 [8 per cell]
Y 0.000 0.000 0.500 [16 per cell]

7.
## LuZnCuSb (PBE-GGA)

Data for an optimized crystal structure of LuZnCuSb.

Results
As for the magnetization: 0.0 μB per formula unit. Its energy above the most stable polymorph in this dataset is 0.00 eV per formula unit.

a = 6.830 Å, b = 6.830 Å, c = 6.830 Å
α = 90.00°, β = 90.00°, γ = 90.00°

== Completed ==
α = 90.00°, β = 114.85°, γ = 90.00°
Space group P2_1/m (No. 11)
One atom of each set of equivalent atoms:
Rb 0.221 0.250 0.431 [2 per cell]
Tl 0.057 0.250 0.915 [2 per cell]
Tl 0.265 0.750 0.770 [2 per cell]
Tl 0.380 0.750 0.194 [2 per cell]
Pt 0.393 0.250 0.994 [2 per cell]

2.
## PrErZn2Au4 (PBE-GGA)

Data for an optimized crystal structure of PrErZn2Au4.

Results
As for the energy of formation from the pure elements: -603 meV/atom. As for the magnetization: 0.0 μB per formula unit.

a = 4.883 Å, b = 4.883 Å, c = 6.933 Å
α = 90.00°, β = 90.00°, γ = 90.00°
Space group P4/mmm (No. 123)
One atom of each set of equivalent atoms:
Pr 0.000 0.000 0.000 [1 per cell]
Er 0.500 0.500 0.500 [1 per cell]
Zn 0.000 0.000 0.500 [1 per cell]
Zn 0.500 0.500 0.000 [1 per cell]
Au 0.000 0.500 0.267 [4 per cell]

3.
## TmAlPt (PBE-GGA)

Data for an optimized crystal structure of TmAlPt.

Results
As for the magnetization: 0.4 μB per formula unit. As for the calculated total energy: -68.06 eV/cell.

a = 6.427 Å, b = 6.427 Å, c = 6.427 Å
α = 90.00°, β = 90.00°, γ = 90.00°
Space group F-43m (No. 216)
One atom of each set of equivalent atoms:
Tm 0.000 0.000 0.000 [4 per cell]
Al 0.000 0.000 0.500 [4 per cell]
Pt 0.250 0.250 0.750 [4 per cell]

4.
## CsSbPdS3 (PBE-GGA)

Data for an optimized crystal structure of CsSbPdS3.

Results
As for the calculated total energy: -50.80 eV/cell.

a = 9.208 Å, b = 4.160 Å, c = 9.762 Å
α = 90.00°, β = 108.89°, γ = 90.00°
Space group P2_1/m (No. 11)
One atom of each set of equivalent atoms:
Cs 0.195 0.250 0.245 [2 per cell]
Sb 0.337 0.750 0.869 [2 per cell]
Pd 0.075 0.250 0.583 [2 per cell]
S 0.148 0.250 0.866 [2 per cell]
S 0.189 0.750 0.557 [2 per cell]
S 0.457 0.750 0.142 [2 per cell]

5.
## AcTaAsO (PBE-GGA)

Data for an optimized crystal structure of AcTaAsO.

Results
As for the magnetization: 0.0 μB per formula unit. Its energy above the most stable polymorph in this dataset is 5.14 eV per formula unit.

a = 4.408 Å, b = 4.408 Å, c = 9.533 Å
α = 90.00°, β = 90.00°, γ = 90.00°
Space group P4/nmm (No. 129, origin choice 2)
One atom of each set of equivalent atoms:
Ac 0.250 0.750 0.000 [2 per cell]
Ta 0.250 0.250 0.490 [2 per cell]
As 0.250 0.250 0.233 [2 per cell]
O 0.250 0.750 0.500 [2 per cell]

6.
## NdY2 (PBE-GGA)

Data for an optimized crystal structure of NdY2.

Results
As for the energy of formation from the pure elements: 298 meV/atom. As for the magnetization: 2.3 μB per formula unit. Its energy above the most stable polymorph in this dataset is 0.00 eV per formula unit.

a = 9.472 Å, b = 9.472 Å, c = 9.472 Å
α = 90.00°, β = 90.00°, γ = 90.00°
Space group Fd-3m (No. 227, origin choice 2)
One atom of each set of equivalent atoms:
Nd 0.125 0.125 0.125 [8 per cell]
Y 0.000 0.000 0.500 [16 per cell]

7.
## LuZnCuSb (PBE-GGA)

Data for an optimized crystal structure of LuZnCuSb.

Results
As for the magnetization: 0.0 μB per formula unit. Its energy above the most stable polymorph in this dataset is 0.00 eV per formula unit.

a = 6.830 Å, b = 6.830 Å, c = 6.830 Å
α = 90.00°, β = 90.00°, γ = 90.00°